**Input:**
=====
69
Properties=species:S:1:pos:R:3:mulliken_charge:R:1 method="wB97M-V/def2-TZVPD" mol_weight_g_mol=885.0 homo_lumo_gap_ev="6.856 / 5.647" multiplicity=2 de_lowest_kcal_mol=22.1 energy_ha=-5134.24047 charge=+2 lumo_energy_ha="-0.2554 / -0.2998"
W -0.3749 -1.2594 -0.4291 -0.08
S -1.9883 -2.9510 1.9164 -0.09
Sb -0.4283 -4.2861 0.6887 0.33
S 1.0697 -2.3612 1.0441 -0.14
S -0.9582 -3.3342 -1.4687 -0.41
N -1.0294 -0.6908 -2.6680 -0.32
C -0.5758 -1.2639 -3.9685 -0.64
C 0.8331 -0.7894 -4.3377 -0.36
C 1.8691 -1.9098 -4.3818 -1.00
C 1.8250 -2.7890 -3.1412 -0.74
N 1.7381 -1.9994 -1.8853 -0.16
H -2.0249 -0.8389 -2.5770 -0.12
H -0.9040 0.3155 -2.7076 0.42
H -1.2929 -0.9781 -4.7386 0.45
H -0.6266 -2.3465 -3.8778 0.46
H 1.1521 -0.0588 -3.5934 -0.03
H 0.8257 -0.2476 -5.2825 0.46
H 2.8595 -1.4637 -4.5021 0.41
H 1.7219 -2.5521 -5.2520 0.37
H 2.7055 -3.4334 -3.1159 0.50
H 0.9641 -3.4537 -3.1612 0.31
H 2.3359 -1.1813 -1.9691 0.10
H 2.1266 -2.5451 -1.1242 0.35
C -4.5241 -1.4528 -1.9806 -1.24
S -3.6827 -1.8220 -0.4566 0.60
C -4.7913 -1.0203 0.6740 -0.94
O -2.4559 -0.8597 -0.4861 -0.27
H -4.5681 -0.3738 -2.1296 0.38
H -5.5297 -1.8677 -1.8976 0.48
H -4.0074 -1.9610 -2.7942 0.40
H -5.7133 -1.6045 0.6684 0.53
H -4.9680 0.0059 0.3564 0.34
H -4.3354 -1.0532 1.6593 0.15
C 0.5690 0.2752 -0.8879 -0.19
Ge 1.0319 0.9835 0.8864 0.23
C 2.5840 0.2387 1.7308 0.33
C 3.6565 -0.2358 0.9726 0.21
C 4.7956 -0.7386 1.5842 -0.81
C 4.8710 -0.7774 2.9695 -0.50
C 3.8182 -0.2987 3.7380 -0.86
C 2.6829 0.2084 3.1233 0.18
C 0.9241 2.8998 1.0137 0.20
C 0.7450 3.4724 2.2742 -0.14
C 0.6749 4.8492 2.4124 -0.76
C 0.7790 5.6673 1.2933 -0.54
C 0.9543 5.1096 0.0363 -0.72
C 1.0258 3.7289 -0.1011 -0.18
C -0.7126 0.3834 1.6502 1.65
C -1.7623 1.2475 1.2674 -0.49
C -2.8688 1.4296 2.0687 -0.89
C -2.9687 0.7427 3.2770 -0.65
C -1.9678 -0.1293 3.6789 -0.65
C -0.8522 -0.3037 2.8728 -1.15
H 1.0945 0.6470 -1.7583 0.96
H 3.6232 -0.1938 -0.1125 0.32
H 5.6279 -1.0909 0.9889 0.45
H 5.7565 -1.1687 3.4527 0.42
H 3.8860 -0.3147 4.8180 0.44
H 1.8793 0.5889 3.7449 0.34
H 0.6570 2.8527 3.1613 0.27
H 0.5406 5.2876 3.3927 0.43
H 0.7258 6.7421 1.4050 0.41
H 1.0397 5.7477 -0.8333 0.42
H 1.1708 3.3095 -1.0916 0.25
H -1.6663 1.8345 0.3619 0.38
H -3.6421 2.1297 1.7787 0.58
H -3.8277 0.9046 3.9175 0.46
H -2.0446 -0.6556 4.6213 0.46
H -0.0473 -0.9466 3.2110 0.61


71
Properties=species:S:1:pos:R:3:mulliken_charge:R:1 method="wB97M-V/def2-TZVPD" mol_weight_g_mol=547.5 homo_lumo_gap_ev="6.511 / 7.372" multiplicity=6 de_lowest_kcal_mol=0.0 energy_ha=-2767.09062 charge=+1 lumo_energy_ha="-0.0937 / -0.1137"
Mn 1.4354 -0.3854 1.3202 0.52
C -4.0257 2.7022 -7.2039 -0.84
O -4.9538 1.6737 -6.8952 -0.41
C -4.5125 0.6194 -6.1759 0.84
C -5.4934 -0.3064 -5.7937 -0.60
C -5.1584 -1.3921 -5.0300 -0.25
C -3.8263 -1.5857 -4.6068 0.15
C -2.8412 -0.6854 -5.0428 -0.53
C -3.1808 0.4120 -5.8169 -0.38
N -3.5731 -2.6539 -3.7953 -0.85
N -2.3960 -2.8658 -3.2958 -0.16
C -1.9896 -2.1992 -2.1931 0.16
C -2.7856 -1.3104 -1.4638 -0.81
C -2.2794 -0.5854 -0.3804 -0.85
C -0.9658 -0.7225 0.0202 0.64
O -0.4217 -0.0616 1.0337 -0.38
C -0.1368 -1.6352 -0.6979 0.34
N 1.1641 -1.7160 -0.2832 -0.48
C 1.9681 -2.5599 -0.9029 -0.08
C 1.5585 -3.3673 -1.9666 -1.18
C 0.2590 -3.2800 -2.4024 -0.47
C -0.6286 -2.3996 -1.7672 0.84
H -4.6004 3.4963 -7.6700 0.24
H -3.2642 2.3496 -7.9030 0.34
H -3.5465 3.0816 -6.2989 0.35
H -6.5127 -0.1382 -6.1146 0.42
H -5.9076 -2.1102 -4.7239 0.43
H -1.8082 -0.8603 -4.7730 0.40
H -2.4061 1.0877 -6.1487 0.39
H -3.8194 -1.1918 -1.7586 0.47
H -2.9142 0.1032 0.1629 0.46
H 2.9942 -2.6095 -0.5549 0.40
H 2.2666 -4.0364 -2.4337 0.43
H -0.0993 -3.8792 -3.2293 0.53
N 3.5565 -0.6028 1.4350 -0.32
C 4.0652 -1.3717 2.6046 -0.49
C 3.3945 -2.7362 2.7379 -0.61
C 2.1242 -2.7159 3.5749 -0.64
N 1.0164 -2.0614 2.8453 -0.44
H 3.9036 -1.0398 0.5859 0.29
H 3.9873 0.3164 1.4542 0.26
H 3.8635 -0.7715 3.4943 0.23
H 5.1467 -1.4900 2.5286 0.48
H 4.0999 -3.4363 3.1861 0.39
H 3.1550 -3.1236 1.7421 0.17
H 2.2995 -2.1543 4.4944 0.33
H 1.8593 -3.7341 3.8657 0.43
=====
**Exercise:**
Please copy the contents above from the line with "-4.7913 -1.0203" to the end with every line break kept.
**Written answer:**
C -4.7913 -1.0203 0.6740 -0.94
O -2.4559 -0.8597 -0.4861 -0.27
H -4.5681 -0.3738 -2.1296 0.38
H -5.5297 -1.8677 -1.8976 0.48
H -4.0074 -1.9610 -2.7942 0.40
H -5.7133 -1.6045 0.6684 0.53
H -4.9680 0.0059 0.3564 0.34
H -4.3354 -1.0532 1.6593 0.15
C 0.5690 0.2752 -0.8879 -0.19
Ge 1.0319 0.9835 0.8864 0.23
C 2.5840 0.2387 1.7308 0.33
C 3.6565 -0.2358 0.9726 0.21
C 4.7956 -0.7386 1.5842 -0.81
C 4.8710 -0.7774 2.9695 -0.50
C 3.8182 -0.2987 3.7380 -0.86
C 2.6829 0.2084 3.1233 0.18
C 0.9241 2.8998 1.0137 0.20
C 0.7450 3.4724 2.2742 -0.14
C 0.6749 4.8492 2.4124 -0.76
C 0.7790 5.6673 1.2933 -0.54
C 0.9543 5.1096 0.0363 -0.72
C 1.0258 3.7289 -0.1011 -0.18
C -0.7126 0.3834 1.6502 1.65
C -1.7623 1.2475 1.2674 -0.49
C -2.8688 1.4296 2.0687 -0.89
C -2.9687 0.7427 3.2770 -0.65
C -1.9678 -0.1293 3.6789 -0.65
C -0.8522 -0.3037 2.8728 -1.15
H 1.0945 0.6470 -1.7583 0.96
H 3.6232 -0.1938 -0.1125 0.32
H 5.6279 -1.0909 0.9889 0.45
H 5.7565 -1.1687 3.4527 0.42
H 3.8860 -0.3147 4.8180 0.44
H 1.8793 0.5889 3.7449 0.34
H 0.6570 2.8527 3.1613 0.27
H 0.5406 5.2876 3.3927 0.43
H 0.7258 6.7421 1.4050 0.41
H 1.0397 5.7477 -0.8333 0.42
H 1.1708 3.3095 -1.0916 0.25
H -1.6663 1.8345 0.3619 0.38
H -3.6421 2.1297 1.7787 0.58
H -3.8277 0.9046 3.9175 0.46
H -2.0446 -0.6556 4.6213 0.46
H -0.0473 -0.9466 3.2110 0.61


71
Properties=species:S:1:pos:R:3:mulliken_charge:R:1 method="wB97M-V/def2-TZVPD" mol_weight_g_mol=547.5 homo_lumo_gap_ev="6.511 / 7.372" multiplicity=6 de_lowest_kcal_mol=0.0 energy_ha=-2767.09062 charge=+1 lumo_energy_ha="-0.0937 / -0.1137"
Mn 1.4354 -0.3854 1.3202 0.52
C -4.0257 2.7022 -7.2039 -0.84
O -4.9538 1.6737 -6.8952 -0.41
C -4.5125 0.6194 -6.1759 0.84
C -5.4934 -0.3064 -5.7937 -0.60
C -5.1584 -1.3921 -5.0300 -0.25
C -3.8263 -1.5857 -4.6068 0.15
C -2.8412 -0.6854 -5.0428 -0.53
C -3.1808 0.4120 -5.8169 -0.38
N -3.5731 -2.6539 -3.7953 -0.85
N -2.3960 -2.8658 -3.2958 -0.16
C -1.9896 -2.1992 -2.1931 0.16
C -2.7856 -1.3104 -1.4638 -0.81
C -2.2794 -0.5854 -0.3804 -0.85
C -0.9658 -0.7225 0.0202 0.64
O -0.4217 -0.0616 1.0337 -0.38
C -0.1368 -1.6352 -0.6979 0.34
N 1.1641 -1.7160 -0.2832 -0.48
C 1.9681 -2.5599 -0.9029 -0.08
C 1.5585 -3.3673 -1.9666 -1.18
C 0.2590 -3.2800 -2.4024 -0.47
C -0.6286 -2.3996 -1.7672 0.84
H -4.6004 3.4963 -7.6700 0.24
H -3.2642 2.3496 -7.9030 0.34
H -3.5465 3.0816 -6.2989 0.35
H -6.5127 -0.1382 -6.1146 0.42
H -5.9076 -2.1102 -4.7239 0.43
H -1.8082 -0.8603 -4.7730 0.40
H -2.4061 1.0877 -6.1487 0.39
H -3.8194 -1.1918 -1.7586 0.47
H -2.9142 0.1032 0.1629 0.46
H 2.9942 -2.6095 -0.5549 0.40
H 2.2666 -4.0364 -2.4337 0.43
H -0.0993 -3.8792 -3.2293 0.53
N 3.5565 -0.6028 1.4350 -0.32
C 4.0652 -1.3717 2.6046 -0.49
C 3.3945 -2.7362 2.7379 -0.61
C 2.1242 -2.7159 3.5749 -0.64
N 1.0164 -2.0614 2.8453 -0.44
H 3.9036 -1.0398 0.5859 0.29
H 3.9873 0.3164 1.4542 0.26
H 3.8635 -0.7715 3.4943 0.23
H 5.1467 -1.4900 2.5286 0.48
H 4.0999 -3.4363 3.1861 0.39
H 3.1550 -3.1236 1.7421 0.17
H 2.2995 -2.1543 4.4944 0.33
H 1.8593 -3.7341 3.8657 0.43